Passenger Comforts and Accommodations 1882
Ocean Steamships Article by S. G. W. Benjamin - Part 4
The disadvantage of carrying them against a head wind amounts to very little in a long voyage and is fully counterbalanced in the long run by the advantage gained when the wind is favorable. No ocean steamship should be permitted to go to sea without canvas; at least no passenger ship; it is a penny-wise economy which leads a company to dispense with it.
Bow of the City of Rome
The ventilation of ocean steamships is a question of great importance, and one which is taxing the ingenuity of the sanitarian. On American coasting steamers this has received much attention. Their smaller size and greater proportionate beam make the general problem easier, and enables them also to carry a number of airy state-rooms in their deck houses.
But when it comes to a ship having accommodations for 2000 people, the problem is not an easy one, for in such a vessel there are many dark nooks and narrow, winding passages, and in stormy weather many of the windows must be closed, partly as a matter of safety. Complaint is made sometimes on this score by passengers, who forget that, while some may like to sit in a draft, there are others to whom it is excessively uncomfortable, not to say dangerous, to do so, and that a ship is not like a house on shore, but is subject to conditions involving constant regard to security.
Stairway of the Main Saloon - City of Pueblo
The best staterooms in ocean steamships are now thoroughly ventilated. If passengers insist on being the last to secure good state-rooms in crowded ships or on paying second-class fare, they must not complain if they are served as they would be under similar circumstances at a hotel, in which it is manifestly impossible that all the rooms should be equally advantageous.
The fact is, while the competition in passenger travel exists as it does now, steamship companies are obliged to offer every possible comfort to the traveler. Some passengers are so unreasonable that they are almost inclined to blame the ship itself because it does not keep on an even keel in a heavy sea. The question of ventilation has been most thoroughly studied in the steamships going to the tropics, in which every appliance is brought into action to withstand the heat. The sides of the staterooms are made of open slats arranged as in a blind and affording unobstructed circulation of air throughout the cabin.
This, I well remember, proved a source of discomfort to me when going northward in one of the South African steamers. As we drew near Europe and met the colder air of the North Atlantic, the circulation of air over the berth was far from agreeable, and I was forced to hang blankets against the slat partition.
In the new steamship Austral, has been introduced a novel plan for cabins throughout, intended to secure direct ventilation to each state-room, even in the heaviest weather. The state-rooms have a protected passage-way four feet wide running completely around them fore and aft. This passage is also carried across the vessel at frequent intervals. Each state-room is thus provided with large windows instead of the small, round bull's-eyes or dead-lights which must be closed in stormy weather.
The outer port-holes, admitting the fresh air, always can be open, as the water can never penetrate to the state-room. This principle is undoubtedly destined to be widely adopted. The main saloon is cooled by a revolving fan moved by steam. This ship has been wisely provided with abundant canvas, and is in other respects well arranged for passenger and freight traffic.
• Here the piece breaks off for data records:
~~~
Computed, not measured: a molecular structure, C46H53F3FeN3 in a non-equilibrium geometry, with ωB97M-V/def2-TZVPD.

Calculated values
HOMO level (spin up / spin down) (eV): -0.245 / -2.756
Frontier orbital gap (spin up / spin down) (Ha): 0.085 / 0.134
2S+1: 5
Charge: -1

Structure (XYZ):
```
106
Properties=species:S:1:pos:R:3:lowdin_charge:R:1
C 1.89 -1.98 -3.53 -0.054
C 2.60 -0.72 -3.06 -0.377
C 3.18 0.08 -4.23 -0.063
C 3.67 -1.05 -2.02 -0.125
C 4.76 -1.85 -2.37 -0.034
C 5.74 -2.17 -1.44 -0.062
C 5.66 -1.66 -0.14 -0.034
C 4.60 -0.84 0.23 -0.123
C 4.49 -0.29 1.66 -0.374
C 5.86 0.08 2.25 -0.077
C 3.74 -1.27 2.55 -0.051
C 3.60 -0.55 -0.71 -0.100
N 2.48 0.29 -0.33 -0.066
N 2.54 1.63 -0.47 0.140
N 1.30 2.07 -0.12 -0.053
C 1.03 3.49 -0.14 -0.115
C 0.45 4.05 -1.30 -0.149
C 0.16 3.20 -2.54 -0.369
C 0.96 3.70 -3.74 -0.064
C -1.34 3.13 -2.84 -0.052
C 0.08 5.40 -1.26 -0.037
C 0.27 6.16 -0.11 -0.062
C 0.88 5.60 1.01 -0.030
C 1.29 4.26 1.01 -0.118
C 1.94 3.64 2.24 -0.366
C 0.89 3.12 3.22 -0.042
C 2.90 4.59 2.94 -0.076
C 0.49 1.02 0.29 -0.103
C -0.84 1.21 0.84 -0.138
C -1.41 0.26 1.74 -0.006
C -2.68 0.43 2.26 0.001
C -3.42 1.55 1.91 -0.131
C -4.81 1.73 2.45 -0.516
F -5.45 2.80 1.91 0.104
F -5.59 0.63 2.19 0.118
F -4.81 1.91 3.81 0.110
C -2.89 2.53 1.08 0.001
C -1.62 2.36 0.56 -0.018
C 1.22 -0.15 0.13 -0.212
C 0.94 -1.49 0.30 0.134
H 1.45 -2.50 -2.66 0.081
H 1.08 -1.73 -4.22 0.083
H 2.58 -2.67 -4.03 0.077
H 1.86 -0.08 -2.56 0.116
H 3.65 1.00 -3.86 0.082
H 3.94 -0.50 -4.77 0.074
H 2.39 0.36 -4.93 0.076
H 4.82 -2.23 -3.39 0.113
H 6.58 -2.80 -1.72 0.104
H 6.42 -1.92 0.59 0.108
H 3.90 0.64 1.58 0.117
H 6.41 0.73 1.57 0.086
H 5.72 0.60 3.20 0.077
H 6.46 -0.82 2.44 0.071
H 2.74 -1.45 2.16 0.059
H 4.28 -2.23 2.60 0.089
H 3.65 -0.86 3.57 0.082
H 0.50 2.19 -2.30 0.121
H 2.03 3.71 -3.50 0.083
H 0.80 3.05 -4.60 0.076
H 0.66 4.72 -4.01 0.076
H -1.88 2.66 -2.01 0.067
H -1.76 4.13 -3.00 0.080
H -1.51 2.53 -3.74 0.084
H -0.40 5.84 -2.14 0.113
H -0.06 7.20 -0.09 0.103
H 1.03 6.20 1.90 0.109
H 2.52 2.78 1.87 0.117
H 0.25 2.36 2.75 0.062
H 1.38 2.66 4.09 0.083
H 0.24 3.94 3.57 0.091
H 3.62 5.01 2.23 0.085
H 2.36 5.42 3.43 0.071
H 3.46 4.05 3.71 0.077
H -0.80 -0.60 2.04 0.106
H -3.10 -0.31 2.95 0.124
H -3.45 3.43 0.83 0.123
H -1.23 3.14 -0.08 0.084
H -0.05 -1.77 0.63 0.042
H 1.71 -2.22 0.06 0.081
C -3.00 -2.48 -2.22 -0.139
C -2.54 -3.07 -0.96 -0.140
C -2.98 -4.33 -0.52 -0.332
C -2.63 -5.02 0.75 -0.160
C -3.32 -6.28 0.79 -0.181
C -4.15 -6.39 -0.40 -0.177
C -3.99 -5.20 -1.19 -0.150
Fe -4.55 -4.74 0.63 0.157
C -5.75 -3.15 0.54 -0.172
C -4.82 -3.06 1.66 -0.171
C -5.00 -4.25 2.48 -0.191
C -6.04 -5.06 1.87 -0.181
C -6.50 -4.38 0.67 -0.187
H -2.85 -1.39 -2.19 0.056
H -2.45 -2.87 -3.09 0.065
H -4.07 -2.68 -2.39 0.066
H -1.76 -2.58 -0.39 0.060
H -1.89 -4.61 1.44 0.094
H -3.21 -7.05 1.55 0.093
H -4.75 -7.26 -0.67 0.093
H -4.41 -4.97 -2.16 0.090
H -5.91 -2.37 -0.20 0.095
H -4.18 -2.22 1.87 0.081
H -4.49 -4.46 3.42 0.089
H -6.46 -5.98 2.28 0.093
H -7.33 -4.69 0.04 0.087
```

***
~~~
• So much for the data records:
Passengers stroll on Deck during calmer weather
Another improvement, first introduced, we believe, on the Germanic-, is the system of turning chairs at the dining tables. The passenger can by this means leave the table at his own convenience without incommoding others. The Alexandre line has introduced another improvement, in such ships as the City of Pueblo. The saloon is provided with small tables, as in a restaurant.
The passenger is not obliged to eat with a crowd of strangers, but selects his own time for meals, paying only for what he orders. Many other conveniences are to be found on the passenger vessels of our time, such as bath-rooms, barber's shops, swinging couches, smoking-rooms, social halls, electric bells, and so forth. The application of steam to navigation is on the increase.
- - -
# 1
{
  "formula": "C29H84ClN9O17P3S4",
  "method": "ωB97M-V/def2-TZVPD",
  "orbital_gap_ev": 8.33,
  "total_charge": -1,
  "homo_energy_ev": -6.5,
  "energy_ev": -163380.6083,
  "multiplicity": 1,
  "elements": ["Cl", "O", "O", "O", "O", "O", "S", "O", "O", "C", "C", "C", "H", "H", "H", "H", "H", "H", "H", "H", "O", "S", "O", "O", "C", "C", "C", "H", "H", "H", "H", "H", "H", "H", "H", "O", "S", "O", "O", "C", "C", "C", "H", "H", "H", "H", "H", "H", "H", "H", "O", "P", "N", "C", "C", "N", "C", "C", "N", "C", "C", "H", "H", "H", "H", "H", "H", "H", "H", "H", "H", "H", "H", "H", "H", "H", "H", "H", "H", "O", "P", "N", "C", "C", "N", "C", "C", "N", "C", "C", "H", "H", "H", "H", "H", "H", "H", "H", "H", "H", "H", "H", "H", "H", "H", "H", "H", "H", "O", "P", "N", "C", "C", "N", "C", "C", "N", "C", "C", "H", "H", "H", "H", "H", "H", "H", "H", "H", "H", "H", "H", "H", "H", "H", "H", "H", "H", "C", "S", "O", "C", "H", "H", "H", "H", "H", "H"],
- - -
The reduced expense of steam is leading to the employment of steamers in lines of trade which it has been supposed until recently must for a long period yet be carried on by sailing ships. The stanch conservative is gradually forced to yield to the steady march of steam.
The famous Aberdeen clippers were devised partly for the trade in tea -- a commodity so sensitive to marine atmosphere that for ages the best tea in Europe was brought overland from China. But the clipper, by her great speed, reduced the disadvantages of transportation on the sea, and the annual competition of the tea ships has been one of the stirring, almost romantic, incidents of modern navigation.
The first ship to arrive with the advance cargo of the crop was crowned with fame in the shipping houses. So also was it with the first schooner that arrived in the Thames with the oranges of Fayal, and the bark which brought the first figs from Smyrna in season for Thanksgiving. The figs and the oranges are now largely brought by screw steamers, and at last the tea trade has been invaded by the steamship.
The steamer Stirling Castle recently has been built expressly for this purpose, with large capacity for coal and a. speed as yet unsurpassed by an ocean steamer. With a dead weight of 3000 tons on board she made eighteen and one-fifth knots an hour for six consecutive hours. She is built of steel, and registers 4300 tons.